Record 1
Computed, not measured: crystalline V5O12 at its relaxed geometry at the PBE+U level of DFT.

* total energy: -7.4700 eV per atom
* ΔE to the lowest computed polymorph: 30 meV/atom

Geometry as POSCAR:
```
V5O12
1.0
-0.712 -5.368 5.565
5.262 1.279 5.565
-7.548 6.783 0.201
V O
10 24
direct
0.705 0.545 0.625
0.460 0.282 0.083
0.968 0.790 0.167
0.545 0.721 0.333
0.529 0.705 0.917
0.206 0.044 0.125
0.960 0.782 0.583
0.468 0.290 0.667
0.045 0.221 0.833
0.029 0.205 0.417
0.870 0.705 0.683
0.370 0.205 0.183
0.045 0.880 0.067
0.545 0.380 0.567
0.150 0.623 0.555
0.650 0.123 0.055
0.127 0.600 0.195
0.627 0.100 0.695
0.516 0.685 0.477
0.016 0.185 0.977
0.565 0.734 0.773
0.065 0.234 0.273
0.779 0.769 0.404
0.279 0.269 0.904
0.981 0.971 0.346
0.481 0.471 0.846
0.529 0.511 0.178
0.029 0.011 0.678
0.739 0.721 0.072
0.239 0.221 0.572
0.381 0.913 0.280
0.881 0.413 0.780
0.337 0.869 0.970
0.837 0.369 0.470
```

---

Record 2
Computed, not measured: crystalline Na3V5O10 at its relaxed geometry at the PBE+U level of DFT.

* total energy: -7.0424 eV per atom
* space-group type: P-1 (2)
* ΔE to the lowest computed polymorph: 0 meV/atom

Geometry as POSCAR:
```
Na3V5O10
1.0
6.580 0.000 0.000
-2.330 6.868 0.000
-2.521 -2.222 9.690
Na V O
6 10 20
direct
0.000 0.000 0.000
0.000 0.000 0.500
0.393 0.397 0.098
0.394 0.397 0.598
0.606 0.603 0.402
0.607 0.603 0.902
0.102 0.598 0.396
0.105 0.599 0.900
0.290 0.803 0.198
0.296 0.802 0.701
0.500 0.000 0.000
0.500 0.000 0.500
0.704 0.198 0.299
0.710 0.197 0.802
0.895 0.401 0.100
0.898 0.402 0.604
0.013 0.322 0.946
0.015 0.329 0.456
0.190 0.872 0.363
0.194 0.875 0.859
0.213 0.525 0.739
0.216 0.523 0.255
0.388 0.078 0.143
0.393 0.076 0.646
0.409 0.722 0.540
0.418 0.725 0.048
0.582 0.275 0.952
0.591 0.278 0.460
0.607 0.924 0.354
0.612 0.922 0.857
0.784 0.477 0.745
0.787 0.475 0.261
0.806 0.125 0.141
0.810 0.128 0.637
0.985 0.671 0.544
0.987 0.678 0.054
```

---

Number 1: calculated formation energy -38.939 eV per formula unit. Number 2: calculated formation energy -43.267 eV per formula unit.


(1)
Ti3Se2S4: relaxed, meta-GGA r2SCAN.

Output
space-group type: P3m1, No. 156

Lattice parameters (Å, degrees): 3.465 3.465 18.281 90.00 90.00 120.00
Positions (direct):
Ti 0.000 0.000 0.000
Ti 0.000 0.000 0.325
Ti 0.000 0.000 0.664
Se 0.667 0.333 0.577
Se 0.667 0.333 0.912
S 0.333 0.667 0.073
S 0.333 0.667 0.401
S 0.333 0.667 0.738
S 0.667 0.333 0.249

(2)
Zn2SeS: relaxed, meta-GGA r2SCAN.

Output
space-group type: R3m, No. 160

Lattice parameters (Å, degrees): 6.771 6.771 6.771 33.54 33.54 33.54
Positions (direct):
Zn 0.000 0.000 0.000
Zn 0.493 0.493 0.493
Se 0.621 0.621 0.621
S 0.122 0.122 0.122

(3)
Zn2SeS: relaxed, meta-GGA r2SCAN.

Output
space-group type: P-4m2, No. 115

Lattice parameters (Å, degrees): 3.909 3.909 5.522 90.00 90.00 90.00
Positions (direct):
Zn 0.000 0.500 0.237
Zn 0.500 0.000 0.763
Se 0.000 0.000 0.500
S 0.500 0.500 0.000

Number 1: ΔE_f -1413 meV per atom, uncorrected energy -112.29 eV for the cell shown. Number 2: ΔE_f -891 meV per atom, uncorrected energy -43.73 eV for the cell shown. Number 3: ΔE_f -894 meV per atom, uncorrected energy -43.74 eV for the cell shown.

Duplicate all of the block earlier on without additions.

Record 1
Computed, not measured: crystalline V5O12 at its relaxed geometry at the PBE+U level of DFT.

* total energy: -7.4700 eV per atom
* ΔE to the lowest computed polymorph: 30 meV/atom

Geometry as POSCAR:
```
V5O12
1.0
-0.712 -5.368 5.565
5.262 1.279 5.565
-7.548 6.783 0.201
V O
10 24
direct
0.705 0.545 0.625
0.460 0.282 0.083
0.968 0.790 0.167
0.545 0.721 0.333
0.529 0.705 0.917
0.206 0.044 0.125
0.960 0.782 0.583
0.468 0.290 0.667
0.045 0.221 0.833
0.029 0.205 0.417
0.870 0.705 0.683
0.370 0.205 0.183
0.045 0.880 0.067
0.545 0.380 0.567
0.150 0.623 0.555
0.650 0.123 0.055
0.127 0.600 0.195
0.627 0.100 0.695
0.516 0.685 0.477
0.016 0.185 0.977
0.565 0.734 0.773
0.065 0.234 0.273
0.779 0.769 0.404
0.279 0.269 0.904
0.981 0.971 0.346
0.481 0.471 0.846
0.529 0.511 0.178
0.029 0.011 0.678
0.739 0.721 0.072
0.239 0.221 0.572
0.381 0.913 0.280
0.881 0.413 0.780
0.337 0.869 0.970
0.837 0.369 0.470
```

---

Record 2
Computed, not measured: crystalline Na3V5O10 at its relaxed geometry at the PBE+U level of DFT.

* total energy: -7.0424 eV per atom
* space-group type: P-1 (2)
* ΔE to the lowest computed polymorph: 0 meV/atom

Geometry as POSCAR:
```
Na3V5O10
1.0
6.580 0.000 0.000
-2.330 6.868 0.000
-2.521 -2.222 9.690
Na V O
6 10 20
direct
0.000 0.000 0.000
0.000 0.000 0.500
0.393 0.397 0.098
0.394 0.397 0.598
0.606 0.603 0.402
0.607 0.603 0.902
0.102 0.598 0.396
0.105 0.599 0.900
0.290 0.803 0.198
0.296 0.802 0.701
0.500 0.000 0.000
0.500 0.000 0.500
0.704 0.198 0.299
0.710 0.197 0.802
0.895 0.401 0.100
0.898 0.402 0.604
0.013 0.322 0.946
0.015 0.329 0.456
0.190 0.872 0.363
0.194 0.875 0.859
0.213 0.525 0.739
0.216 0.523 0.255
0.388 0.078 0.143
0.393 0.076 0.646
0.409 0.722 0.540
0.418 0.725 0.048
0.582 0.275 0.952
0.591 0.278 0.460
0.607 0.924 0.354
0.612 0.922 0.857
0.784 0.477 0.745
0.787 0.475 0.261
0.806 0.125 0.141
0.810 0.128 0.637
0.985 0.671 0.544
0.987 0.678 0.054
```

---

Number 1: calculated formation energy -38.939 eV per formula unit. Number 2: calculated formation energy -43.267 eV per formula unit.


(1)
Ti3Se2S4: relaxed, meta-GGA r2SCAN.

Output
space-group type: P3m1, No. 156

Lattice parameters (Å, degrees): 3.465 3.465 18.281 90.00 90.00 120.00
Positions (direct):
Ti 0.000 0.000 0.000
Ti 0.000 0.000 0.325
Ti 0.000 0.000 0.664
Se 0.667 0.333 0.577
Se 0.667 0.333 0.912
S 0.333 0.667 0.073
S 0.333 0.667 0.401
S 0.333 0.667 0.738
S 0.667 0.333 0.249

(2)
Zn2SeS: relaxed, meta-GGA r2SCAN.

Output
space-group type: R3m, No. 160

Lattice parameters (Å, degrees): 6.771 6.771 6.771 33.54 33.54 33.54
Positions (direct):
Zn 0.000 0.000 0.000
Zn 0.493 0.493 0.493
Se 0.621 0.621 0.621
S 0.122 0.122 0.122

(3)
Zn2SeS: relaxed, meta-GGA r2SCAN.

Output
space-group type: P-4m2, No. 115

Lattice parameters (Å, degrees): 3.909 3.909 5.522 90.00 90.00 90.00
Positions (direct):
Zn 0.000 0.500 0.237
Zn 0.500 0.000 0.763
Se 0.000 0.000 0.500
S 0.500 0.500 0.000

Number 1: ΔE_f -1413 meV per atom, uncorrected energy -112.29 eV for the cell shown. Number 2: ΔE_f -891 meV per atom, uncorrected energy -43.73 eV for the cell shown. Number 3: ΔE_f -894 meV per atom, uncorrected energy -43.74 eV for the cell shown.